Elon Musk: "About My Divorce..."

Given the choice, I'd rather stick a fork in my hand than write about my personal life. Unfortunately, it seems that I don't have any other option.

Several awful things have been widely reported that are simply false, but a falsehood uncorrected may as well be truth.

I really wish there were not this level of attention directed towards personal matters in the first place, but the legal filings in a California divorce are public information, my ex-wife (Justine) is an extremely prolific blogger, and certain journalists seem to have a creepy fixation on my personal life. Much as one may wish for privacy, in the 21st century it just doesn't exist.

Dangerous Clichés

The final straw that prompted me to write this was an off-the-cuff comment in a recent New York Times article that I "ran off with an actress", suggesting that was the reason for my divorce. Andrew Sorkin, an otherwise excellent journalist, was actually writing an article about the difference between liquid and illiquid wealth. The primary point he was making, was that even if someone has assets that are worth an enormous amount on paper, that doesn't matter if, as was the case with me several months ago, the assets cannot be sold quickly enough to meet an unexpected cash obligation. The article as a whole was fine, but the inaccurate comment on my personal life was quite painful. My ex-wife also contributes frequently to the public literature on the divorce, and recently wrote an article for the Times of London, containing several more inaccuracies that I would like to correct.

Since I was accused of absconding with an actress in one of the biggest newspapers in the world, and moreover was quoted frequently in the article, this was assumed by many to be true. Let me be absolutely clear: it is not. I filed for divorce from Justine (for reasons I should not have to justify or make public) before I met Talulah Riley, the woman who is now my fiancé. The fact of the matter is that Talulah and I lived on opposite sides of the world and hadn't even known of each other's existence before the marriage with Justine ended.

It is worth mentioning that Talulah, as anyone who knows her would attest, is one of the most kind hearted and gentle people in the world. The cliché that has been propagated, of me abandoning a devoted wife to "run off" with a young actress, could not have been more falsely applied.

I would also like it known that Matt Peterson, the president of Global Green and Justine's long-term boyfriend, played no part in my decision to file for divorce. Matt has been a mutual acquaintance of both Justine's and mine for many years, and as readers of her blog are aware, she did not enter a relationship with him until after I had filed for divorce. There was no third party involved in the break-up at all.

Brother, Can You Spare a Dime?

Another falsehood that has been widely reported was that I claimed I was "broke", presumably as some sort of strategy in the divorce. Here is the truth of the matter:

In late 2007, I had to make a tough decision. Tesla was in a near fatal situation and the only way out was for existing shareholders to completely recapitalize the company. There was no way to raise money externally given the severity of the problems. Rather than allow Tesla to die, I committed almost all my cash reserves to the company, leaving a few million dollars to cover living expenses.

This should have been fine, as, relative to others with a similar net worth, I don't spend much money on personal matters. I own no homes (not even my residence at this point), yachts or expensive artwork. My clothes are mostly jeans and t-shirts and I almost never take vacations, apart from kid related travel.

Much has been written about my use of a "private" jet, as though this is a personal indulgence or shows that I have some kind of Marie Antionette approach to living expenses. Last year, I did roughly 200 business trips and spent 500 hours in the air, not counting airport time. In contrast, you could count the number of truly personal trips I did on one hand. If I didn't need the plane to get my jobs done running SpaceX and Tesla simultaneously, it would have been sold long ago.

== The article is interrupted by records of molecules ==
1.
Below is a 2-piece molecular cluster, C6H14P overall in a non-equilibrium geometry, with properties calculated with wB97M-V/def2-TZVPD.

The value obtained for the energy relative to the best compared isomer or geometry (same formula, charge and spin) is 132.1 kcal per mole. The charge is +1. The HOMO-LUMO gap comes out at 8.04 eV.

Each line ends with the natural charge from an NBO analysis.
Element x y z (Å)
C 2.65 0.84 0.34  -0.453
C 2.67 -0.76 0.26  -0.448
C 1.95 0.09 -0.72  0.054
C -1.41 -1.50 0.88  -0.890
C -1.89 -0.23 -1.73  -0.848
C -1.38 1.54 0.72  -0.911
P -0.81 -0.05 -0.16  1.000
H 2.19 1.23 1.18  0.247
H 3.38 1.48 0.20  0.241
H 3.52 -1.25 -0.21  0.260
H 2.05 -1.22 1.14  0.274
H 2.03 0.28 -1.72  0.217
H -2.42 -1.59 0.72  0.250
H -0.99 -1.26 1.81  0.244
H -1.16 -2.38 0.38  0.255
H -2.95 -0.19 -1.25  0.250
H -1.45 -1.05 -2.09  0.230
H -1.68 0.71 -2.25  0.248
H -0.72 2.34 0.16  0.267
H -1.04 1.50 1.73  0.246
H -2.54 1.47 0.61  0.266

2.
Below is a 2-piece molecular cluster, C2H4Cl3OP overall in a non-equilibrium geometry, with properties calculated with wB97M-V/def2-TZVPD.

The value obtained for the energy relative to the best compared isomer or geometry (same formula, charge and spin) is 124.0 kcal per mole. The HOMO-LUMO gap (spin up / spin down) comes out at 7.42 / 7.84 eV.

Each line ends with the natural charge from an NBO analysis.
Element x y z (Å)
C -0.06 -0.38 -0.65  0.099
C -1.21 0.31 -0.14  -0.167
O 0.09 -1.70 -0.44  -0.663
P 1.65 0.75 1.24  0.043
Cl -1.73 -0.31 1.45  0.019
Cl -1.03 2.08 -0.25  0.042
Cl -2.55 -0.09 -1.25  -0.001
H 0.53 0.10 -1.39  0.227
H -0.15 -1.95 0.50  0.501
H 2.12 1.50 0.20  -0.046
H 2.35 -0.29 0.73  -0.055

> What is the energy relative to the best compared isomer or geometry (same formula, charge and spin) in the first record?

132.1 kcal per mole

> What is the energy relative to the best compared isomer or geometry (same formula, charge and spin) in the first record?

132.1 kcal per mole

> Number 1 is which compound?

C6H14P

> Number 2 is which compound?

C2H4Cl3OP
== Back to the article ==

How Many Lawyers Does it Take to Screw in a...?

What caught me by surprise, and forced me to seek emergency loans from friends, were the enormous legal fees I had to pay my ex-wife's divorce lawyers. In a California divorce, the wealthier spouse must pay both sides of the battle even if they are not the aggressor.

The legal and accounting bills for the divorce total four million dollars so far, which is an average of roughly $170,000 per month for the past 24 months. Journalists were quick to mock the poor "broke" guy that had $200k a month expenses, failing to note that legal fees constituted the majority.

I never said in any court documents that I was "broke" or even that I lacked considerable assets, and at no point have I ever sought to limit support payments to Justine. In fact, I state in my own court declarations that I own exceptionally valuable ownership in Tesla, SpaceX and SolarCity. I was simply seeking some reasonable limit on the attorneys fees or at least more time to obtain cash to pay the unexpectedly high legal bills. The judge did grant the latter relief.

Unfortunately, most news articles didn't bother to read any of the actual court documents and just echoed the original errors in Owen Thomas's VentureBeat story, not realizing that the guy is Silicon Valley's Jayson Blair. That may be a bit unfair to Blair, as Thomas, while just as prone to mixing fiction with fact to spice up a story, has a vicious mean streak that Blair never had. The collaboration of my ex-wife's lawyers and Owen Thomas, which Thomas acknowledges in his articles, is a match made in ... well certainly not Heaven.

Apart from the $170k average monthly legal bill, the rest of my living expenses are mostly nanny salaries and supporting Justine's household. In addition to paying all of her household expenses and anything related to the children, I send Justine $20,000 (after tax) per month for clothing, shoes and other discretionary items. I have never disputed any of this or even been a month late in making payment. There is also no dispute about her receiving the family residence in Bel Air, in which she currently lives.

Custody of our five children is split evenly. Almost all of my non-work waking hours are spent with my boys, and they are the love of my life.

Justine wrote in the Times as though there has been no negotiation or settlement process, which is absolutely untrue. Moreover, in attempting to maximize the financial outcome from those discussions, she has applied every possible legal and public relations pressure tactic – her Times article being a pointed example. I even had to endure her attempt to enjoin my companies, which would have required her participation and permission in every significant corporate decision. The court rejected this immediately.

This torturous process culminated in a court hearing, where Justine tried to dispute the separate property agreement that we signed in March 2002. This agreement said that any separate property we created would remain separate property, so the novels she wrote would be hers and any companies I created would be mine.

We began negotiations two months before marriage with separate legal counsel and an independent mediator drawing up the agreement, and signed it six weeks after marriage. In mid 1999, Justine told me that if I proposed to her, she would say yes. Since this was not long after the sale of my first company, Zip2, to Compaq, and the subsequent cofounding of PayPal, friends and family advised me to separate whether the marriage was for love or money.

According to the marital agreement, Justine would receive approximately $20 million dollars after tax, half in the form of the house and half in support payments. Prior to the divorce trial that she lost in early May, I had offered her more than double that number as a settlement, which is roughly equivalent to a pre tax income of $80 million. I also said that if there was any worthy cause that she felt deserved attention, I would be happy to give to them in her name. Justine said no to this offer and continued to insist on receiving ownership in Tesla and SpaceX.

On May 3rd this year, the California court agreed with my position, declaring the marital agreement both valid and enforceable. Moreover, my motion for non-suit was granted within the first few hours of the trial, meaning that even if everything Justine claimed was assumed to be true, she would still lose the case. For good measure, the judge then went on to point out that he did not agree with the validity of her claims. Justine has decided to appeal...

Elon Musk is the CEO of SpaceX and Tesla Motors.

